Tag Archives: value chains

**Next to the entry, the page also holds calculated molecules:**
┌──
[1]
This record from the OMol25 dataset describes a cluster of 3 separate species, C15H32INO3P in total. The level of theory is ωB97M-V with the def2-TZVPD basis set.

Its HOMO energy is -12.06 eV. The energy comes out at -1509.98672 Ha. Its net charge is +1. The LUMO energy comes out at -2.511 eV. Its spin multiplicity is 1. The calculation puts the HOMO-LUMO gap at 9.544 eV.

Cartesian coordinates (Å):
H 2.63749 1.51309 0.62701
H -1.91630 -4.07069 -1.42320
C 3.40297 0.39695 2.29755
C -4.01888 -3.44756 -1.32402
C -1.54256 0.07664 3.28561
H -4.52808 -3.78798 -2.22286
C 2.91372 0.47675 0.84829
C -2.53619 -3.18485 -1.55645
C -1.48230 1.95519 1.90183
H 0.74713 3.93329 -2.38771
O -2.15126 -2.20114 -0.58213
H -3.19260 -0.55416 0.04540
H -0.86893 2.85306 1.88824
H 3.25642 1.20824 -4.31414
H 1.63340 3.04053 -4.43369
C -4.50430 -2.08575 -0.82505
C -0.23036 -0.52567 2.78069
H -2.35409 -2.77979 -2.55576
H -1.70978 -0.21067 4.31869
C -0.89398 0.93112 0.93687
H -2.39717 -0.28590 2.70893
O 2.54414 3.14664 -1.74601
H 4.26535 1.04384 2.43100
C 3.51142 2.41194 -2.50595
H 1.00942 -2.82272 0.84250
C -3.31805 -1.63813 0.01412
H 0.78898 1.07855 2.05804
H 3.67435 -0.61472 2.58390
H -3.39861 -2.01098 1.04570
C 1.45125 2.29094 -3.66240
H 4.17438 1.88730 -1.81583
H 0.59650 1.68984 -3.96693
H -0.39228 -1.55138 2.46590
H 3.68891 0.19547 0.13831
H 0.66187 2.32803 -1.63662
H -1.57748 0.13714 0.66878
O -1.47683 1.48804 3.22099
H -4.15356 -4.20386 -0.54858
H 1.85994 -2.14427 2.25604
H 2.63792 0.75748 2.98827
P 1.43209 -0.50141 0.41940
H -4.64986 -1.40473 -1.66519
H 2.46937 0.55219 -2.87455
C 1.77127 -2.12170 1.17469
H 0.52918 -0.48387 3.55551
C 2.71778 1.47440 -3.40711
C 1.24686 2.96756 -2.31469
H -5.43104 -2.12872 -0.25672
H 4.11243 3.11498 -3.08884
H 2.71506 -2.42798 0.72067
N 0.27467 0.30625 1.63152
I -3.43531 2.50358 1.23056
H -0.56447 1.42963 0.02943

***

[2]
This record from the OMol25 dataset describes the ion C2H4FO3S with charge -1 in a non-equilibrium geometry. The level of theory is ωB97M-V with the def2-TZVPD basis set.

Its HOMO energy is -5.18 eV. The energy comes out at -802.44537 Ha. Its net charge is -1. The structure (SMILES) is O=S(=O)([O-])CCF. The LUMO energy comes out at 4.102 eV. For the energy relative to the best compared isomer or geometry (same formula, charge and spin), the calculation gives 37.9 kJ/mol. Its spin multiplicity is 1. The calculation puts the HOMO-LUMO gap at 9.281 eV.

Cartesian coordinates (Å):
S 2.04840 0.15363 -0.00254
H 0.40401 -0.73794 -1.19025
O 2.02182 0.79616 1.28665
F -2.02207 0.27414 -0.14342
O 2.10619 1.09387 -1.10869
H -0.59816 0.95566 1.22512
C 0.31257 -0.48610 -0.20409
C -0.68141 0.68146 0.14510
O 2.85744 -1.07724 -0.10030
H -0.45711 1.65030 -0.49492
H 0.06022 -1.30547 0.46684

***

The lowest HOMO belongs to which entry?
C15H32INO3P

***

Which value of net charge does entry 1 give?
+1


[1]
└──

Help us to identify the food value chains in your region!

The Nourishing Communities research group is conducting the second annual OMAFRA-funded survey to identify existing and potential regional food hub demand in Ontario. If you are a farmer, processor, distributor, retailer, restaurant, or institution that engages with the regionally-produced food value chain—or would like to—we need your input, so we can provide the most up-to-date summary of food hub activity in Ontario for 2015, and identify future demand.

The goal is to enable you to get more local and/or sustainable food into the hands of consumers, and develop a more accurate snapshot of your local food system. The survey results will help regional food value chain members explain their needs when applying for loans and/or grants, and help funders understand more about community and business needs, where funding or resource gaps exist, and how to effectively support operations such as yours.

We need everyone to complete this second survey so we can tell the story of how this sector is growing. Please complete this survey within the next three weeks, if at all possible!

Thanks to everyone who participated in the first survey of food hubs in 2014 – we are happy to share results. Please contact Project Manager, Mike Nagy at nagym@uoguelph.ca or at 519-829-6249.

We also conducted 25 case studies and network analyses that describe innovative value chains, food hubs and network projects as good practice examples of food hub initiatives: http://nourishingontario.ca/ontario-food-hub-case-studies-2015/

Click here for more detail or to take the survey

Ontario Ag Matters

**Here the page breaks off for quantum chemistry results:**
'''
Record 1
Density functional theory data (ωB97M-V/def2-TZVPD) for a structure of composition C10H15N5S in a non-equilibrium geometry.

```
31
Properties=species:S:1:pos:R:3:forces:R:3
C 1.693 2.920 -0.476 1.69 2.48 4.85
C 0.971 2.503 -1.633 -0.29 3.63 -4.16
C -0.106 1.491 -1.612 -1.16 1.70 2.87
C 0.649 0.153 -1.531 0.09 -2.02 -3.37
C 0.613 0.199 1.014 -4.93 -1.21 -1.29
C -1.967 -0.056 0.720 0.17 0.65 1.40
C -1.975 -1.583 0.893 0.67 -1.20 -0.05
C -1.147 -2.349 1.653 1.49 -2.54 -0.25
C -1.041 -3.856 1.373 0.37 1.91 1.91
C -1.850 -4.223 0.370 -0.38 -1.04 -0.64
H 1.745 1.846 0.444 0.31 4.46 -2.72
H 0.937 4.025 -0.135 2.97 -3.42 0.32
H 2.976 3.331 -0.917 -4.16 -1.18 2.08
H 0.625 3.517 -2.187 0.47 -2.26 1.01
H 1.842 2.247 -2.175 0.12 -1.22 -2.05
H -0.737 1.879 -0.614 1.43 -1.74 -2.42
H -0.795 1.736 -2.439 0.46 -1.18 0.07
H 1.712 0.337 -2.255 -3.15 -1.01 2.58
H 0.063 -0.744 -2.056 1.19 1.86 1.28
H -0.538 0.930 2.128 -2.02 0.06 0.36
H -2.852 0.534 1.123 1.16 -1.09 0.87
H -2.167 0.332 -0.255 0.57 -0.79 -1.49
H -0.282 -2.128 2.239 -0.05 1.42 0.69
H -0.330 -4.503 2.075 -1.72 1.38 -2.01
H -1.864 -5.373 -0.003 -0.70 3.30 0.46
N 1.049 -0.263 -0.169 -0.24 1.48 -0.45
N 2.317 -0.542 0.051 1.99 -0.14 2.67
N 2.511 -0.323 1.336 2.85 -1.33 -1.05
N 1.430 0.102 2.015 0.95 -0.24 -2.14
N -0.693 0.561 1.196 -0.45 1.02 1.19
S -2.791 -2.701 -0.173 0.28 -1.76 -0.51
```
Forces are in eV/Å.

The calculation puts the relative energy (zero: lowest compared OMol25 entry of this formula, charge and spin) at 897.8 kJ/mol. The value obtained for the molar mass is 237.3 u. As for the orbital gap: 0.351 hartree. Its spin multiplicity is 1. Its electronic energy is -1061.66625 a.u. The highest occupied orbital energy comes out at -0.334 hartree. As for the total charge: 0.

Record 2
Density functional theory data (ωB97M-V/def2-TZVPD) for a structure of composition C31H45FeN12O7.

```
96
Properties=species:S:1:pos:R:3:forces:R:3
Fe 0.393 0.739 0.394 -0.30 0.06 0.71
C 3.180 1.347 -0.990 -0.01 0.19 -0.02
N 3.255 0.133 -1.764 -0.04 0.12 -0.28
C 3.705 0.305 -3.150 -0.12 0.05 0.11
C 2.583 -0.960 -1.359 -0.07 -0.34 0.03
N 1.578 -0.876 -0.487 0.20 0.84 0.04
C 1.377 -1.965 0.374 0.07 -0.23 0.03
C 2.464 -2.499 1.074 0.00 0.19 -0.04
C 2.334 -3.617 1.882 -0.07 -0.11 0.03
C 1.121 -4.276 1.939 0.20 -0.07 0.07
C 0.018 -3.774 1.239 -0.18 0.08 0.03
C -1.176 -4.536 1.206 -0.09 0.02 0.00
C -2.279 -4.103 0.478 0.03 -0.13 0.14
C -2.245 -2.881 -0.141 0.05 0.00 -0.08
C -1.103 -2.018 -0.078 -0.26 0.10 0.02
N -1.250 -0.738 -0.469 0.56 -0.51 -0.18
C -2.294 -0.532 -1.332 -0.58 0.20 -0.34
N -2.215 -0.977 -2.594 0.19 -0.12 -0.09
C -0.931 -1.371 -3.179 -0.11 0.09 0.06
C -3.387 -1.427 -3.356 0.10 -0.05 -0.02
N -3.388 0.102 -0.925 0.11 0.22 0.21
C -4.255 0.857 -1.834 -0.04 -0.04 0.09
C -3.686 0.199 0.516 -0.03 0.07 -0.13
C 0.107 -2.545 0.526 -0.13 -0.05 0.04
N 2.970 -2.131 -1.919 0.06 -0.34 -0.03
C 2.105 -3.305 -1.993 0.18 0.06 -0.11
C 4.366 -2.395 -2.271 -0.04 -0.09 0.10
H 4.032 1.978 -1.242 0.02 0.01 0.01
'''
**The quantum chemistry results stop here:**

Join the OMAFRA Research and Innovation Contact List!

The Research and Innovation Branch will be delivering new communication products to share knowledge and successes that result from OMAFRA’s investments in research and innovation.

### Next to the piece, the page also holds data records
____________
Entry from OMol25: a cluster of 3 separate species, C26H46BrN5O2P2S2 in total at a distorted geometry (wB97M-V/def2-TZVPD).

XYZ file:
```
84
Properties=species:S:1:pos:R:3
H 1.65 3.76 -3.68
H -0.96 0.20 -5.47
N -0.14 3.99 5.32
H -1.20 -0.99 -0.54
N -1.84 -0.80 -7.73
H 2.57 -8.90 5.21
C 1.88 2.10 3.05
C -1.14 -2.91 -8.61
C 2.84 -5.55 4.81
H 1.49 -1.80 0.70
H -0.51 -0.42 -10.79
H 2.90 2.06 3.44
C 1.96 -5.20 5.82
H 1.50 1.62 0.97
H 1.67 -0.94 -1.57
H -0.35 3.45 -5.95
H 1.03 -8.08 6.97
Br 0.46 -1.84 5.17
C 0.43 -1.55 0.85
H -1.37 1.69 -6.29
C -0.84 -0.94 -9.90
H -1.06 -3.98 -8.46
N 1.33 -6.09 6.58
H -0.27 -2.90 -10.57
C -0.16 -1.31 -0.54
S 0.07 -0.16 -3.07
C -0.12 3.37 -4.89
P 0.41 -0.19 2.09
H -3.79 1.68 0.64
C 1.56 -7.38 6.34
C -0.11 1.61 -3.24
C -2.16 0.46 1.47
H 3.33 -4.79 4.22
H -3.75 0.04 0.03
C 1.27 3.94 -4.68
O -0.70 3.07 7.32
H -1.95 5.19 7.87
C 1.08 3.18 5.20
H -3.41 0.95 -5.31
C 0.92 1.99 4.23
C -1.28 1.23 -5.31
C -1.41 -0.23 -8.85
H -2.06 -2.56 -6.69
C 0.72 -0.41 -1.41
H 1.75 3.10 2.62
C -1.70 -2.12 -7.62
S -0.17 2.65 -1.98
H 3.76 -7.21 3.79
H 0.96 0.54 -0.93
H 1.39 -3.44 2.91
C -0.71 -2.31 -9.77
H -0.51 -0.26 3.17
H -2.66 0.60 -3.75
H -2.86 2.28 -4.26
C -1.59 5.23 6.85
H -0.89 3.95 -4.35
H -2.21 -0.63 1.59
H -2.46 5.24 6.18
H -0.12 1.96 3.90
H 2.68 0.57 1.73
H -2.55 1.20 -0.54
H 1.96 3.47 -5.39
H 1.38 2.82 6.18
C 1.73 1.08 1.89
H -1.53 0.85 -8.92
H 0.03 4.95 5.04
H 1.27 5.02 -4.87
H -2.50 0.90 2.41
H 1.88 3.83 4.83
O 2.18 -2.88 2.90
H 1.16 1.08 4.79
C 2.42 -7.84 5.35
C -2.63 1.27 -4.61
C -0.77 4.00 6.56
H -1.02 6.15 6.68
N -0.20 1.94 -4.57
C -3.12 0.88 0.34
H -0.02 -2.43 1.32
C 3.08 -6.90 4.57
P 1.92 -1.37 3.52
H 1.75 -4.16 6.04
H -0.16 -2.30 -1.03
N -0.77 0.82 1.19
H -0.64 1.79 1.47
```

Output
M: 666.7 u
SMILES string: CCN[PH](CCCCNC(C)=O)(CCCSC(=S)N(CC)CC)P(O)Br.c1ccncc1.c1ccncc1
lowest unoccupied orbital energy: 0.437 eV
multiplicity: 1
orbital gap: 7.79 eV
HOMO level: -7.35 eV

Atom charges from the Mulliken analysis, given in e for atoms 1 to 2: 0.314, 0.525



Entry from OMol25: a structure of composition C26H46ClHfO2P at a distorted geometry (wB97M-V/def2-TZVPD).

XYZ file:
```
77
Properties=species:S:1:pos:R:3
H 1.90 -5.55 0.22
C 1.27 -4.70 -0.06
C -4.05 -1.18 2.28
C 0.47 -1.88 0.60
H -1.03 -2.89 1.83
C 5.22 2.58 0.57
C 0.90 3.82 -2.25
H 1.03 3.19 2.59
C 3.82 1.72 -1.37
H -3.10 0.65 -1.04
H 2.72 3.96 1.03
C -2.03 -1.33 -3.38
O 0.37 2.67 -2.26
H -5.05 0.73 2.37
H 3.66 2.80 -1.54
H 2.70 -3.73 -1.36
H -3.63 -1.89 3.01
H 6.18 2.44 1.07
H -1.83 1.86 -1.00
H -2.64 0.53 4.22
C -3.14 0.97 3.35
H -2.68 -1.71 -1.36
H -4.97 -1.63 1.89
H -3.89 -0.23 -3.49
H 1.08 -1.70 1.50
C -1.77 -0.31 1.62
C 2.59 1.13 -0.79
C 1.56 2.40 2.04
H 5.13 0.53 -0.11
H 0.87 -2.18 -1.52
H -1.33 -0.92 2.43
H -3.09 2.00 -3.12
C -2.83 -0.06 -3.73
H -1.41 1.56 -3.41
C 2.17 -3.51 -0.42
Cl -0.95 3.71 0.52
C -1.74 -1.50 -1.88
H 2.15 -1.36 -0.63
P -0.35 -0.19 0.39
H -2.52 1.71 1.41
C 2.70 2.86 1.18
H -2.84 -1.99 0.70
H 4.38 3.15 2.44
H -3.45 1.98 3.64
C -2.12 1.07 2.21
____________

ONagrimattersOur products will highlight partners’ successes, funding opportunities, events and resources and information specific to:
  • Agricultural and Rural Policy
  • Bioeconomy – Industrial uses
  • Environmental Sustainability
  • Emergency Management
  • Food for Health
  • Products and Value Chains
  • Production Systems (Plants, Animals)
  • Innovation and Commercialization
  • Knowledge Translation and Transfer

We invite you to sign up to receive content suited to your interests and we’re excited to share news, events and opportunities focused on Ontario agriculture, agri-food and agri-product sectors. You will only receive the above listed products if you sign up.

Please contact research.omafra@ontario.ca
